I know, I'm kind of schizophrenic. Just yesterday I posted some links guaranteed to have you burning the midnight oil and getting NOTHING done, and here I am telling you how to blast through the procrastination blocks. Well, we play both sides here at 5 Things! :)
I get a ton done. I'm not trying to brag, as I'm saying nothing about the QUALITY of work I produce. But there's something to be said for pure quantity and efficiency, and I'm pretty darned efficient. Here are some tips on getting those nasty tasks off your to-do list -- you know, the ones that languish there longer than the rubbery pickles at the bottom of the refrigerator (you DO have rubbery pickles in your fridge, right?):
Image from here.
1. Break it down, baby. I read somewhere that if you put something on your to-do list, it should be tasks that can actually be accomplished. Common sense, right? But when I reviewed my to-do list, I found things like "plan birthday party" or "reorganize office." These goals sound good (and Lord knows, they needed to be done!) but they aren't something I can just finish and cross off. And just the thought of the effort involved in some of my to-dos would give me cold sweats. So instead, I worked on breaking each large goal into manageable chunks, ones I could easily complete in under an hour. For instance, "Plan birthday party" became "Choose theme, buy decorations, order cake, pick up Prozac prescription." Voila! Each easily accomplished.
Image from here.
2. Estimate the time involved. I have found I vastly overestimate the amount of time it will take to complete unattractive tasks (like "call doctor to schedule pap smear"). This results in my putting off the icky jobs because I think they'll take three and a half days to complete, and really, who has three and a half days to sit on hold with the doctor's office? Some people have the opposite problem; they underestimate the amount of time tasks will take, and so they never get through their to-do list (I never understood this type of person -- seriously, did they really think it would only take 5 minutes to wash the garbage cans out? In my world, that takes at least a week!). Wondering which type you are? Well, are you perpetually early (the first type) or late (the second type)? In either case, try this exercise: Go through your to-do list and pencil in time estimates next to each task. Then, when you complete the task, write down how long it actually took you. Over the course of a week or so, you should have a good sense of how long certain tasks take. Use this power for good, not evil.
Image from here.
3. Bribe yourself. It works on the kids, so why not lure yourself into action with the promise of 15 minutes of email after you fold and put away the three loads of laundry sitting on your bed? Caveat: You must stick to the required reward parameters, or it won't work. You could easily get sucked into interntland, only to emerge, blurry-eyed and pale, when your husband comes home from work and wonders where the kids are. (Not that this has ever happened to me. Nuh-uh. No way.)
-- Data records that have nothing to do with the piece --
~~~
Dy4Ho3Tl: computed X-ray powder pattern (λ = 1.5418 Å (Cu Kα)), based on the PBE geometry in Alexandria.
Kinematic intensities with the Lorentz-polarization factor, no thermal factor.

Largest 10 diffraction maxima, low angle first, 2θ = 15–90°:
(1 0 4), 31.27°, rel. 100; (1 1 0), 35.70°, rel. 37; (0 0 8), 37.36°, rel. 14; (2 0 0), 51.37°, rel. 13; (1 1 8), 52.63°, rel. 21; (2 1 4), 61.38°, rel. 30; (1 0 12), 63.61°, rel. 9; (2 0 8), 65.22°, rel. 11; (3 0 4), 84.07°, rel. 6; (2 1 12), 86.06°, rel. 8

Structure:
```
data_Dy4Ho3Tl
_space_group_name_H-M_alt 'P 4/m m m'
_space_group_IT_number 123
_space_group_name_Hall '-P 4 2'
_cell_length_a 3.557
_cell_length_b 3.557
_cell_length_c 19.255
_cell_angle_alpha 90.00
_cell_angle_beta 90.00
_cell_angle_gamma 90.00
loop_
_atom_site_label
_atom_site_type_symbol
_atom_site_fract_x
_atom_site_fract_y
_atom_site_fract_z
Dy1 Dy 0.000 0.000 0.112
Dy2 Dy 0.000 0.000 0.371
Ho1 Ho 0.500 0.500 0.241
Ho2 Ho 0.500 0.500 0.500
Tl1 Tl 0.500 0.500 0.000
```

----------

# 1
BaMg14CoO16: simulated X-ray diffraction stick pattern (Cu Ka), based on a crystal structure in the Materials Project, relaxed with GGA+U.
Peak positions follow from Bragg's law for the DFT cell and can differ from measured ones.

Cell lengths 8.776, 8.776, 4.428 Å; angles 90.00, 90.00, 90.00 degrees
Fractional positions:
Ba 0.000 0.000 0.000
Mg 0.000 0.269 0.500
Mg 0.000 0.500 0.000
Mg 0.000 0.731 0.500
Mg 0.254 0.500 0.500
Mg 0.261 0.261 0.000
Mg 0.261 0.739 0.000
Mg 0.269 0.000 0.500
Mg 0.500 0.000 0.000
Mg 0.500 0.254 0.500
Mg 0.500 0.746 0.500
Mg 0.731 0.000 0.500
Mg 0.739 0.261 0.000
Mg 0.739 0.739 0.000
Mg 0.746 0.500 0.500
Co 0.500 0.500 0.000
O 0.000 0.000 0.500
O 0.000 0.280 0.000
O 0.000 0.500 0.500
O 0.000 0.720 0.000
O 0.250 0.250 0.500
O 0.250 0.750 0.500
O 0.251 0.500 0.000
O 0.280 0.000 0.000
O 0.500 0.000 0.500
O 0.500 0.251 0.000
O 0.500 0.500 0.500
O 0.500 0.749 0.000
O 0.720 0.000 0.000
O 0.749 0.500 0.000
O 0.750 0.250 0.500
O 0.750 0.750 0.500

Main lines, sorted by position (15° ≤ 2θ ≤ 90°):
Position (°2θ)  intensity
20.24  22
24.70  24
35.32  41
40.76  54
41.14  100
59.30  60
59.59  28
74.71  26

---

# 2
Ba2MgMo4Se4O22: simulated X-ray diffraction stick pattern (Cu Ka), based on a crystal structure in the Materials Project, relaxed with GGA+U.
Peak positions follow from Bragg's law for the DFT cell and can differ from measured ones.

Cell lengths 9.044, 9.044, 7.975 Å; angles 91.70, 91.70, 124.96 degrees
Fractional positions:
Ba 0.000 0.000 0.000
Ba 0.623 0.623 0.452
Mg 0.348 0.348 0.751
Mo 0.161 0.945 0.494
Mo 0.426 0.642 0.978
Mo 0.642 0.426 0.978
Mo 0.945 0.161 0.494
Se 0.070 0.656 0.832
Se 0.483 0.913 0.328
Se 0.656 0.070 0.832
Se 0.913 0.483 0.328
O 0.127 0.857 0.757
O 0.155 0.971 0.276
O 0.167 0.331 0.585
O 0.244 0.405 0.973
O 0.272 0.740 0.952
O 0.319 0.846 0.474
O 0.331 0.167 0.585
O 0.405 0.244 0.973
O 0.415 0.702 0.243
O 0.480 0.642 0.762
O 0.619 0.619 0.075
O 0.642 0.480 0.762
O 0.646 0.939 0.993
~~~
4. Do the "either/or" game. Once you admit your procrastination techniques, you can use them to your advantage. I give myself the choice between two unattractive items. For instance, I can finish entering my receipts into Quicken, OR I can clean out the refrigerator. (Any bets on which gets done first? Let's put it this way: I may not have the cleanest kitchen in town, but my taxes are up to date!)
Image from here.
5. Use little blocks of time. One way I get so much done is that I use every minute I can scrape up. I think of it as one of those jars on your dresser where you store stray pennies and the change from the bottom of your purse: They don't mean much on their own, but compiled together, you can buy a new six-pack of Stickles or a copy of US without feeling too guilty. :) Where do I find these slivers? Everywhere! I keep a book with me at all times so if I have to wait for the kids or in the checkout line at the grocery store, I can get some reading done. I check my email on the stationary bike at the gym. I straighten the house while I'm on the phone. I wipe of the dining room table placemats while waiting to flip the pancakes (yes, I burn a lot of pancakes. But I like them that way).
So there you have it - my top five ways to fight procrastination and get more done. What about you? Got any tricks you want to share?
Thank you from a huge procrastinator here. I'll try to implement some of those tips at the earliest convenient moment I can find! ;P
Posted by: Nathalie (famille1999) | 12/16/2009 at 03:57 PM
wish I had read this LAST week, before the toy I needed to order went out of stock.... b/c I procrastinated. geesh.
good tips.
My rule of thumb is that if I don't get it done before noon, the chances of it getting crossed off my list decrease by a very LARGE percentage.
Posted by: Crafty P | 12/17/2009 at 07:30 AM
I'm a big fan of the bribe yourself and have a treat planned for myself this weekend. I have lots of Christmas stuff to do but am itching to start knitting some socks with the fun yarn I got from my Secret Santa at yesterday's office party. So I'm not going to let myself start knitting until I'm done with my Christmas to do list. Wanna bet it'll be done in record time? : )
- - -
1.
Structure and theoretical X-ray diffraction stick pattern of CaPm2Ga4 (the GGA-PBE geometry in Alexandria; Cu Kα).
Intensities are scaled so that the largest is 100.

Cell and atoms:
Unit cell a=9.811 b=9.811 c=9.811 alpha=155.31 beta=153.72 gamma=36.37
Sites, in units of the cell vectors:
1 Ca 0.000 0.000 0.000
2 Pm 0.184 0.684 0.500
3 Pm 0.816 0.316 0.500
4 Ga 0.354 0.854 0.500
5 Ga 0.434 0.434 0.000
6 Ga 0.566 0.566 0.000
7 Ga 0.646 0.146 0.500

Main lines, by angle (10 to 80 degrees two-theta):
- 2θ = 29.2°, d = 3.056 Å, I = 25
- 2θ = 30.8°, d = 2.904 Å, I = 100
- 2θ = 31.3°, d = 2.861 Å, I = 51
- 2θ = 40.1°, d = 2.248 Å, I = 27
- 2θ = 40.4°, d = 2.230 Å, I = 33
- 2θ = 41.4°, d = 2.179 Å, I = 53
- 2θ = 43.1°, d = 2.097 Å, I = 27
- 2θ = 54.2°, d = 1.691 Å, I = 21
- 2θ = 58.3°, d = 1.584 Å, I = 30
- 2θ = 60.6°, d = 1.528 Å, I = 19



2.
Structure and theoretical X-ray diffraction stick pattern of CaPm5Ga3 (the GGA-PBE geometry in Alexandria; Cu Kα).
Intensities are scaled so that the largest is 100.

Cell and atoms:
Unit cell a=9.175 b=9.175 c=6.753 alpha=90.00 beta=90.00 gamma=120.00
Sites, in units of the cell vectors:
1 Ca 0.000 0.000 0.000
2 Ca 0.000 0.000 0.500
3 Pm 0.000 0.334 0.250
4 Pm 0.000 0.666 0.750
5 Pm 0.333 0.667 0.000
6 Pm 0.333 0.667 0.500
7 Pm 0.334 0.000 0.250
8 Pm 0.334 0.334 0.750
9 Pm 0.666 0.000 0.750
10 Pm 0.666 0.666 0.250
11 Pm 0.667 0.333 0.000
12 Pm 0.667 0.333 0.500
13 Ga 0.000 0.333 0.750
14 Ga 0.000 0.667 0.250
15 Ga 0.333 0.000 0.750
16 Ga 0.333 0.333 0.250
17 Ga 0.667 0.000 0.250
18 Ga 0.667 0.667 0.750

Main lines, by angle (10 to 80 degrees two-theta):
- 2θ = 11.1°, d = 7.945 Å, I = 14
- 2θ = 23.4°, d = 3.795 Å, I = 19
- 2θ = 32.9°, d = 2.719 Å, I = 96
- 2θ = 33.8°, d = 2.648 Å, I = 100
- 2θ = 43.4°, d = 2.084 Å, I = 11
- 2θ = 47.9°, d = 1.897 Å, I = 33
- 2θ = 60.0°, d = 1.542 Å, I = 34
- 2θ = 60.6°, d = 1.529 Å, I = 18
- 2θ = 65.6°, d = 1.424 Å, I = 29
- 2θ = 71.2°, d = 1.324 Å, I = 11

~~~~~

Theoretical PXRD pattern of BaPmCrO4 for Cu Kα X-rays, from the PBE+U geometry in Alexandria.
Lines closer than 0.1° are merged.

Structural model:
```
data_BaPmCrO4
_chemical_formula_sum 'Ba2 Pm2 Cr2 O8'
_symmetry_space_group_name_H-M 'I 4 m m'
_symmetry_Int_Tables_number 107
_symmetry_space_group_name_Hall 'I 4 -2'
_cell_length_a 3.961
_cell_length_b 3.961
_cell_length_c 12.729
_cell_angle_alpha 90.00
_cell_angle_beta 90.00
_cell_angle_gamma 90.00
loop_
_atom_site_label
_atom_site_type_symbol
_atom_site_fract_x
_atom_site_fract_y
_atom_site_fract_z
Ba1 Ba 0.000 0.000 0.000
Pm1 Pm 0.000 0.000 0.717
Cr1 Cr 0.000 0.000 0.353
O1 O 0.000 0.000 0.196
O2 O 0.000 0.000 0.530
O3 O 0.000 0.500 0.339
```

The 12 most intense peaks (2θ from 10° to 80°), sorted by position:
2θ (°)  d (Å)  I/Imax  index
23.5  3.782  29  1 0 1
28.0  3.182  16  0 0 4
30.9  2.895  100  1 0 3
32.0  2.801  71  1 1 0
42.2  2.142  12  1 0 5
43.0  2.102  34  1 1 4
45.8  1.980  36  2 0 0
54.2  1.691  14  1 1 6
55.6  1.653  12  1 0 7
- - -
Posted by: Marilyn (Merry) Fenton | 12/18/2009 at 04:48 PM
[Someone pasted data records at this point]
+++
Structure and computed X-ray diffraction stick pattern of Pm2DyCd2Hg2 (the PBE geometry in Alexandria; Cu Kα X-rays).

Largest 10 diffraction maxima, in order of falling intensity, 2θ from 10° to 90°:
| d_spacing | I/Imax |
| --- | --- |
| 2.475 | 100 |
| 2.647 | 80 |
| 2.863 | 31 |
| 1.453 | 26 |
| 1.808 | 26 |
| 1.460 | 25 |
| 1.429 | 18 |
| 3.616 | 17 |
| 3.354 | 13 |
| 4.487 | 12 |

Crystal structure
```
7
Lattice="2.4750 1.4289 8.9731 -2.4750 1.4289 8.9731 0.0000 -2.8579 8.9731" Properties=species:S:1:pos:R:3 pbc="T T T"
Pm 0.0000 0.0000 3.3672
Pm 0.0000 0.0000 23.5521
Dy 0.0000 0.0000 0.0000
Cd 0.0000 0.0000 7.0452
Cd 0.0000 0.0000 19.8741
Hg 0.0000 0.0000 10.5958
Hg 0.0000 0.0000 16.3235
```

---

Structure and computed X-ray diffraction stick pattern of Ta2Nb6Mo3 (the PBE geometry in Alexandria; Cu Kα X-rays).

Largest 10 diffraction maxima, in order of falling intensity, 2θ from 10° to 90°:
| d_spacing | I/Imax |
| --- | --- |
| 2.430 | 100 |
| 2.225 | 53 |
| 2.381 | 48 |
| 2.282 | 24 |
| 1.167 | 19 |
| 1.647 | 17 |
| 1.384 | 17 |
| 1.993 | 13 |
| 2.322 | 13 |
| 1.348 | 12 |

Crystal structure
```
11
Lattice="-1.3301 2.3807 15.5418 1.3301 -2.3807 15.5418 1.3301 2.3807 -15.5418" Properties=species:S:1:pos:R:3 pbc="T T T"
Ta 0.0000 0.0000 1.3782
Ta 0.0000 0.0000 29.7054
Nb 1.3301 0.0000 4.1917
Nb 0.0000 0.0000 6.9902
Nb 1.3301 0.0000 12.6593
Nb 0.0000 2.3807 2.8825
Nb 0.0000 0.0000 24.0934
Nb 0.0000 2.3807 11.3501
Mo 0.0000 0.0000 9.8267
Mo 0.0000 0.0000 15.5418
Mo 0.0000 0.0000 21.2569
```

---

Structure and computed X-ray diffraction stick pattern of Mg5TaIr6 (the PBE geometry in Alexandria; Cu Kα X-rays).

Largest 10 diffraction maxima, in order of falling intensity, 2θ from 10° to 90°:
| d_spacing | I/Imax |
| --- | --- |
| 2.216 | 100 |
| 3.122 | 42 |
| 2.211 | 25 |
| 2.205 | 25 |
| 3.146 | 21 |
| 1.281 | 17 |
| 1.277 | 17 |
| 1.275 | 17 |
| 1.561 | 17 |
| 1.108 | 11 |

Crystal structure
```
12
Lattice="6.9716 -3.1459 0.0000 6.9716 3.1459 0.0000 -1.3979 0.0000 4.1948" Properties=species:S:1:pos:R:3 pbc="T T T"
Mg 0.0000 0.0000 0.0000
Mg 1.4023 0.0000 2.8001
Mg 4.1363 0.0000 1.3831
Mg 8.4090 0.0000 2.8117
Mg 11.1430 0.0000 1.3947
Ta 6.9716 0.0000 0.0000
Ir 3.5221 1.5577 3.5085
Ir 6.2727 1.5454 2.0974
Ir 9.0233 1.5577 0.6864
Ir 3.5221 -1.5577 3.5085
Ir 6.2727 -1.5454 2.0974
Ir 9.0233 -1.5577 0.6864
```

---

Structure and computed X-ray diffraction stick pattern of BP5Pb6O20 (the PBE geometry in Alexandria; Cu Kα X-rays).

Largest 10 diffraction maxima, in order of falling intensity, 2θ from 10° to 90°:
| d_spacing | I/Imax |
| --- | --- |
| 4.472 | 100 |
| 2.890 | 76 |
| 3.330 | 66 |
| 3.012 | 59 |
| 3.356 | 53 |
| 3.544 | 35 |
| 1.968 | 25 |
| 2.247 | 23 |
| 2.003 | 22 |
| 2.232 | 20 |

Crystal structure
```
32
Lattice="7.0583 0.0000 0.0000 0.0000 7.0583 0.0000 0.0000 0.0000 10.0680" Properties=species:S:1:pos:R:3 pbc="T T T"
B 0.0000 0.0000 0.0000
P 1.1648 5.4247 1.9915
P 1.6336 1.1648 8.0765
P 3.5291 3.5291 5.0340
+++
Great suggestions. I'm truly crappy with all of them so I'm thinking of taking the "FranklinCovey Organize 2010" challenge.
"I know, I'm kind of schizophrenic." Please choose words carefully we who have schizophrenia already have a bad image in society. Great site. Keep up the tips and tweets.
Posted by: jestutripup | 01/26/2010 at 03:30 AM
I do a process I call "5 in 25". I list 5 things I want to accomplish in 25 minutes. Then set the timer and run with it...
There are two key ingredients to making this being successful.
1. I always let myself play for 10 minutes immediately afterward - with no guilt.
2. The 5 things have to be very specific and attainable goals. "Plan the party" wouldn't work in this situation. But "Choose the theme" would.
Nine times out of ten just starting the list of five things makes me want to get going and get them done...
Posted by: lura | 07/08/2010 at 12:18 PM